+++
{
  "formula": "Li9Mn7O16",
  "functional": "GGA+U",
  "state": "relaxed",
  "lattice": [[-2.637, -5.580, 3.205], [0.147, -5.734, 3.931], [-3.031, 7.316, 13.181]],
  "species": ["Mn", "Mn", "Mn", "Mn", "Mn", "Mn", "Mn", "Li", "Li", "Li", "Li", "Li", "Li", "Li", "Li", "Li", "O", "O", "O", "O", "O", "O", "O", "O", "O", "O", "O", "O", "O", "O", "O", "O"],
  "frac_coords": [[0.000, 0.000, 0.000], [0.885, 0.885, 0.380], [0.746, 0.746, 0.746], [0.254, 0.254, 0.254], [0.115, 0.115, 0.620], [0.373, 0.373, 0.874], [0.627, 0.627, 0.126], [0.444, 0.444, 0.683], [0.061, 0.061, 0.812], [0.556, 0.556, 0.317], [0.939, 0.939, 0.188], [0.687, 0.687, 0.938], [0.500, 0.500, 0.500], [0.186, 0.186, 0.439], [0.814, 0.814, 0.561], [0.313, 0.313, 0.062], [0.468, 0.468, 0.085], [0.904, 0.904, 0.790], [0.096, 0.096, 0.210], [0.842, 0.842, 0.959], [0.217, 0.217, 0.832], [0.014, 0.014, 0.402], [0.654, 0.654, 0.539], [0.783, 0.783, 0.168], [0.346, 0.346, 0.461], [0.594, 0.594, 0.707], [0.986, 0.986, 0.598], [0.158, 0.158, 0.041], [0.731, 0.731, 0.341], [0.406, 0.406, 0.293], [0.532, 0.532, 0.915], [0.269, 0.269, 0.659]],
  "total_magnetization_mub_per_fu": 26.0,
  "delta_e_f_kj_per_mol_fu": -6565,
  "polymorph_energy_ev_per_atom": 0.018,
  "energy_mp2020_ev_per_atom": -7.141,
  "e_tot_ev_per_cell": -205.9
}

***

{
  "formula": "CsYW2O8",
  "functional": "GGA+U",
  "state": "relaxed",
  "lattice": [[5.379, 5.515, 0.000], [-5.379, 5.515, 0.000], [0.000, 4.872, 5.797]],
  "species": ["Y", "Y", "O", "O", "O", "O", "O", "O", "O", "O", "O", "O", "O", "O", "O", "O", "O", "O", "W", "W", "W", "W", "Cs", "Cs"],
  "frac_coords": [[0.777, 0.223, 0.750], [0.223, 0.777, 0.250], [0.254, 0.379, 0.933], [0.051, 0.223, 0.797], [0.949, 0.777, 0.203], [0.592, 0.373, 0.964], [0.373, 0.592, 0.464], [0.621, 0.746, 0.567], [0.223, 0.051, 0.297], [0.777, 0.949, 0.703], [0.369, 0.061, 0.874], [0.746, 0.621, 0.067], [0.631, 0.939, 0.126], [0.408, 0.627, 0.036], [0.379, 0.254, 0.433], [0.939, 0.631, 0.626], [0.627, 0.408, 0.536], [0.061, 0.369, 0.374], [0.686, 0.698, 0.286], [0.314, 0.302, 0.714], [0.698, 0.686, 0.786], [0.302, 0.314, 0.214], [0.198, 0.802, 0.750], [0.802, 0.198, 0.250]],
  "total_magnetization_mub_per_fu": 0.0,
  "delta_e_f_kj_per_mol_fu": -3056,
  "energy_mp2020_ev_per_atom": -8.711,
  "e_tot_ev_per_cell": -180.3
}

***

{
  "formula": "Ti2CrP3O12",
  "functional": "GGA+U",
  "state": "relaxed",
  "lattice": [[-5.582, -0.388, -6.684], [-8.306, -2.294, 1.316], [-6.379, 5.891, -0.769]],
  "species": ["O", "O", "O", "O", "O", "O", "O", "O", "O", "O", "O", "O", "O", "O", "O", "O", "O", "O", "O", "O", "O", "O", "O", "O", "Cr", "Cr", "P", "P", "P", "P", "P", "P", "Ti", "Ti", "Ti", "Ti"],
  "frac_coords": [[0.583, 0.442, 0.232], [0.622, 0.003, 0.803], [0.997, 0.197, 0.378], [0.232, 0.583, 0.442], [0.417, 0.558, 0.768], [0.122, 0.303, 0.503], [0.442, 0.232, 0.583], [0.268, 0.058, 0.917], [0.058, 0.917, 0.268], [0.197, 0.378, 0.997], [0.558, 0.768, 0.417], [0.803, 0.622, 0.003], [0.768, 0.417, 0.558], [0.003, 0.803, 0.622], [0.497, 0.878, 0.697], [0.303, 0.503, 0.122], [0.378, 0.997, 0.197], [0.083, 0.732, 0.942], [0.942, 0.083, 0.732], [0.503, 0.122, 0.303], [0.878, 0.697, 0.497], [0.917, 0.268, 0.058], [0.697, 0.497, 0.878], [0.732, 0.942, 0.083], [0.500, 0.500, 0.500], [0.000, 0.000, 0.000], [0.541, 0.959, 0.250], [0.750, 0.459, 0.041], [0.959, 0.250, 0.541], [0.041, 0.750, 0.459], [0.459, 0.041, 0.750], [0.250, 0.541, 0.959], [0.856, 0.856, 0.856], [0.356, 0.356, 0.356], [0.644, 0.644, 0.644], [0.144, 0.144, 0.144]],
  "total_magnetization_mub_per_fu": 4.6,
  "delta_e_f_kj_per_mol_fu": -4971,
  "energy_mp2020_ev_per_atom": -8.477,
  "e_tot_ev_per_cell": -284.7
}

***

{
  "formula": "Nb3VF6",
  "functional": "GGA+U",
  "state": "relaxed",
  "lattice": [[4.963, -0.673, -0.895], [-2.201, -4.835, 5.566], [-3.155, -5.536, -4.947]],
  "species": ["V", "F", "F", "F", "F", "F", "F", "Nb", "Nb", "Nb"],
+++
Write out the listing further up with every line break kept.
{
  "formula": "Li9Mn7O16",
  "functional": "GGA+U",
  "state": "relaxed",
  "lattice": [[-2.637, -5.580, 3.205], [0.147, -5.734, 3.931], [-3.031, 7.316, 13.181]],
  "species": ["Mn", "Mn", "Mn", "Mn", "Mn", "Mn", "Mn", "Li", "Li", "Li", "Li", "Li", "Li", "Li", "Li", "Li", "O", "O", "O", "O", "O", "O", "O", "O", "O", "O", "O", "O", "O", "O", "O", "O"],
  "frac_coords": [[0.000, 0.000, 0.000], [0.885, 0.885, 0.380], [0.746, 0.746, 0.746], [0.254, 0.254, 0.254], [0.115, 0.115, 0.620], [0.373, 0.373, 0.874], [0.627, 0.627, 0.126], [0.444, 0.444, 0.683], [0.061, 0.061, 0.812], [0.556, 0.556, 0.317], [0.939, 0.939, 0.188], [0.687, 0.687, 0.938], [0.500, 0.500, 0.500], [0.186, 0.186, 0.439], [0.814, 0.814, 0.561], [0.313, 0.313, 0.062], [0.468, 0.468, 0.085], [0.904, 0.904, 0.790], [0.096, 0.096, 0.210], [0.842, 0.842, 0.959], [0.217, 0.217, 0.832], [0.014, 0.014, 0.402], [0.654, 0.654, 0.539], [0.783, 0.783, 0.168], [0.346, 0.346, 0.461], [0.594, 0.594, 0.707], [0.986, 0.986, 0.598], [0.158, 0.158, 0.041], [0.731, 0.731, 0.341], [0.406, 0.406, 0.293], [0.532, 0.532, 0.915], [0.269, 0.269, 0.659]],
  "total_magnetization_mub_per_fu": 26.0,
  "delta_e_f_kj_per_mol_fu": -6565,
  "polymorph_energy_ev_per_atom": 0.018,
  "energy_mp2020_ev_per_atom": -7.141,
  "e_tot_ev_per_cell": -205.9
}

***

{
  "formula": "CsYW2O8",
  "functional": "GGA+U",
  "state": "relaxed",
  "lattice": [[5.379, 5.515, 0.000], [-5.379, 5.515, 0.000], [0.000, 4.872, 5.797]],
  "species": ["Y", "Y", "O", "O", "O", "O", "O", "O", "O", "O", "O", "O", "O", "O", "O", "O", "O", "O", "W", "W", "W", "W", "Cs", "Cs"],
  "frac_coords": [[0.777, 0.223, 0.750], [0.223, 0.777, 0.250], [0.254, 0.379, 0.933], [0.051, 0.223, 0.797], [0.949, 0.777, 0.203], [0.592, 0.373, 0.964], [0.373, 0.592, 0.464], [0.621, 0.746, 0.567], [0.223, 0.051, 0.297], [0.777, 0.949, 0.703], [0.369, 0.061, 0.874], [0.746, 0.621, 0.067], [0.631, 0.939, 0.126], [0.408, 0.627, 0.036], [0.379, 0.254, 0.433], [0.939, 0.631, 0.626], [0.627, 0.408, 0.536], [0.061, 0.369, 0.374], [0.686, 0.698, 0.286], [0.314, 0.302, 0.714], [0.698, 0.686, 0.786], [0.302, 0.314, 0.214], [0.198, 0.802, 0.750], [0.802, 0.198, 0.250]],
  "total_magnetization_mub_per_fu": 0.0,
  "delta_e_f_kj_per_mol_fu": -3056,
  "energy_mp2020_ev_per_atom": -8.711,
  "e_tot_ev_per_cell": -180.3
}

***

{
  "formula": "Ti2CrP3O12",
  "functional": "GGA+U",
  "state": "relaxed",
  "lattice": [[-5.582, -0.388, -6.684], [-8.306, -2.294, 1.316], [-6.379, 5.891, -0.769]],
  "species": ["O", "O", "O", "O", "O", "O", "O", "O", "O", "O", "O", "O", "O", "O", "O", "O", "O", "O", "O", "O", "O", "O", "O", "O", "Cr", "Cr", "P", "P", "P", "P", "P", "P", "Ti", "Ti", "Ti", "Ti"],
  "frac_coords": [[0.583, 0.442, 0.232], [0.622, 0.003, 0.803], [0.997, 0.197, 0.378], [0.232, 0.583, 0.442], [0.417, 0.558, 0.768], [0.122, 0.303, 0.503], [0.442, 0.232, 0.583], [0.268, 0.058, 0.917], [0.058, 0.917, 0.268], [0.197, 0.378, 0.997], [0.558, 0.768, 0.417], [0.803, 0.622, 0.003], [0.768, 0.417, 0.558], [0.003, 0.803, 0.622], [0.497, 0.878, 0.697], [0.303, 0.503, 0.122], [0.378, 0.997, 0.197], [0.083, 0.732, 0.942], [0.942, 0.083, 0.732], [0.503, 0.122, 0.303], [0.878, 0.697, 0.497], [0.917, 0.268, 0.058], [0.697, 0.497, 0.878], [0.732, 0.942, 0.083], [0.500, 0.500, 0.500], [0.000, 0.000, 0.000], [0.541, 0.959, 0.250], [0.750, 0.459, 0.041], [0.959, 0.250, 0.541], [0.041, 0.750, 0.459], [0.459, 0.041, 0.750], [0.250, 0.541, 0.959], [0.856, 0.856, 0.856], [0.356, 0.356, 0.356], [0.644, 0.644, 0.644], [0.144, 0.144, 0.144]],
  "total_magnetization_mub_per_fu": 4.6,
  "delta_e_f_kj_per_mol_fu": -4971,
  "energy_mp2020_ev_per_atom": -8.477,
  "e_tot_ev_per_cell": -284.7
}

***

{
  "formula": "Nb3VF6",
  "functional": "GGA+U",
  "state": "relaxed",
  "lattice": [[4.963, -0.673, -0.895], [-2.201, -4.835, 5.566], [-3.155, -5.536, -4.947]],
  "species": ["V", "F", "F", "F", "F", "F", "F", "Nb", "Nb", "Nb"],